## Wanted
Repeat all of the material further down character by character.

## Source
-- begin --
# 1
# TlH6Pt3
Computed PXRD pattern, a wavelength of 1.5418 Å. Input: a crystal structure in Alexandria, relaxed with PBE.
Kinematic intensities with the Lorentz-polarization factor, no thermal factor.

The 6 most intense peaks (2θ from 10° to 80°), sorted by position:
- 28.2°, rel. 100.0, (1 -2 1)
- 29.0°, rel. 53.3, (1 1 -2)
- 33.8°, rel. 56.4, (2 -1 0)
- 37.7°, rel. 44.4, (0 1 2)
- 38.5°, rel. 60.0, (1 1 -3)
- 41.7°, rel. 62.9, (2 1 -1)

Crystal structure
Lattice parameters (Å, degrees): 5.4724 7.0104 7.1960 108.88 104.18 108.40
Positions (direct):
1 Tl 0.0000 0.0000 0.0000
2 Tl 0.4086 0.4371 0.4876
3 H 0.0512 0.7682 0.4125
4 H 0.0668 0.0694 0.6159
5 H 0.0725 0.5051 0.9045
6 H 0.3878 0.9936 0.2708
7 H 0.4211 0.7835 0.8018
8 H 0.5661 0.0284 0.6480
9 H 0.5672 0.5937 0.9679
10 H 0.6151 0.2957 0.0895
11 H 0.6262 0.8201 0.3033
12 H 0.8093 0.1955 0.3009
13 H 0.9603 0.5434 0.1383
14 H 0.9954 0.6392 0.6227
15 Pt 0.2415 0.3424 0.8172
16 Pt 0.2447 0.9126 0.6943
17 Pt 0.4902 0.8120 0.0667
18 Pt 0.6937 0.1325 0.4814
19 Pt 0.7528 0.3125 0.9012
20 Pt 0.8828 0.4877 0.3495

---

# 2
# Zn2Cd3Ag3
Computed PXRD pattern, a wavelength of 1.5418 Å. Input: a crystal structure in Alexandria, relaxed with PBE.
Kinematic intensities with the Lorentz-polarization factor, no thermal factor.

The 6 most intense peaks (2θ from 10° to 80°), sorted by position:
- 36.1°, rel. 78.6, (2 1 0)
- 38.5°, rel. 100.0, (1 1 1)
- 40.9°, rel. 35.0, (2 0 1)
- 41.1°, rel. 35.0, (3 0 0)
- 69.9°, rel. 20.4, (3 2 1)
- 74.5°, rel. 17.4, (2 1 2)

Crystal structure
Lattice parameters (Å, degrees): 7.6068 7.6068 2.9655 90.00 90.00 120.00
Positions (direct):
1 Zn 0.3333 0.6667 0.0000
2 Zn 0.6667 0.3333 0.0000
3 Cd 0.0000 0.2473 0.0000
4 Cd 0.2473 0.0000 0.0000
5 Cd 0.7527 0.7527 0.0000
6 Ag 0.0000 0.6123 0.5000
7 Ag 0.3877 0.3877 0.5000
8 Ag 0.6123 0.0000 0.5000

---

# 3
# SmGd2In
Computed PXRD pattern, a wavelength of 1.5418 Å. Input: a crystal structure in Alexandria, relaxed with PBE.
Kinematic intensities with the Lorentz-polarization factor, no thermal factor.

The 6 most intense peaks (2θ from 10° to 80°), sorted by position:
- 31.3°, rel. 100.0, (1 0 2)
- 35.1°, rel. 38.7, (1 1 0)
- 50.5°, rel. 13.7, (2 0 0)
- 53.2°, rel. 19.2, (1 1 4)
- 60.7°, rel. 30.1, (2 1 2)
- 65.4°, rel. 18.2, (2 0 4)

Crystal structure
Lattice parameters (Å, degrees): 3.6123 3.6123 9.3202 90.00 90.00 90.00
Positions (direct):
1 Sm 0.0000 0.0000 0.0000
2 Gd 0.5000 0.5000 0.2742
3 Gd 0.5000 0.5000 0.7258
4 In 0.0000 0.0000 0.5000

---

# 4
# MnGePCN
Computed PXRD pattern, a wavelength of 1.5418 Å. Input: a crystal structure in Alexandria, relaxed with PBE.
Kinematic intensities with the Lorentz-polarization factor, no thermal factor.

The 6 most intense peaks (2θ from 10° to 80°), sorted by position:
- 20.3°, rel. 67.6, (1 0 0)
- 20.5°, rel. 43.3, (1 0 -1)
- 35.7°, rel. 100.0, (0 1 1)
- 37.2°, rel. 53.7, (2 0 -1)
- 45.3°, rel. 35.6, (1 1 1)
- 45.7°, rel. 29.8, (1 1 -2)

Crystal structure
Lattice parameters (Å, degrees): 4.8405 2.9200 5.4809 90.00 115.41 90.00
Positions (direct):
1 Mn 0.0000 0.0000 0.0000
2 Ge 0.8310 0.5000 0.5912
3 P 0.1966 0.5000 0.3555
4 C 0.3705 0.0000 0.9843
5 N 0.6164 0.0000 0.9854
-- stop --

## Here it is
# 1
# TlH6Pt3
Computed PXRD pattern, a wavelength of 1.5418 Å. Input: a crystal structure in Alexandria, relaxed with PBE.
Kinematic intensities with the Lorentz-polarization factor, no thermal factor.

The 6 most intense peaks (2θ from 10° to 80°), sorted by position:
- 28.2°, rel. 100.0, (1 -2 1)
- 29.0°, rel. 53.3, (1 1 -2)
- 33.8°, rel. 56.4, (2 -1 0)
- 37.7°, rel. 44.4, (0 1 2)
- 38.5°, rel. 60.0, (1 1 -3)
- 41.7°, rel. 62.9, (2 1 -1)

Crystal structure
Lattice parameters (Å, degrees): 5.4724 7.0104 7.1960 108.88 104.18 108.40
Positions (direct):
1 Tl 0.0000 0.0000 0.0000
2 Tl 0.4086 0.4371 0.4876
3 H 0.0512 0.7682 0.4125
4 H 0.0668 0.0694 0.6159
5 H 0.0725 0.5051 0.9045
6 H 0.3878 0.9936 0.2708
7 H 0.4211 0.7835 0.8018
8 H 0.5661 0.0284 0.6480
9 H 0.5672 0.5937 0.9679
10 H 0.6151 0.2957 0.0895
11 H 0.6262 0.8201 0.3033
12 H 0.8093 0.1955 0.3009
13 H 0.9603 0.5434 0.1383
14 H 0.9954 0.6392 0.6227
15 Pt 0.2415 0.3424 0.8172
16 Pt 0.2447 0.9126 0.6943
17 Pt 0.4902 0.8120 0.0667
18 Pt 0.6937 0.1325 0.4814
19 Pt 0.7528 0.3125 0.9012
20 Pt 0.8828 0.4877 0.3495

---

# 2
# Zn2Cd3Ag3
Computed PXRD pattern, a wavelength of 1.5418 Å. Input: a crystal structure in Alexandria, relaxed with PBE.
Kinematic intensities with the Lorentz-polarization factor, no thermal factor.

The 6 most intense peaks (2θ from 10° to 80°), sorted by position:
- 36.1°, rel. 78.6, (2 1 0)
- 38.5°, rel. 100.0, (1 1 1)
- 40.9°, rel. 35.0, (2 0 1)
- 41.1°, rel. 35.0, (3 0 0)
- 69.9°, rel. 20.4, (3 2 1)
- 74.5°, rel. 17.4, (2 1 2)

Crystal structure
Lattice parameters (Å, degrees): 7.6068 7.6068 2.9655 90.00 90.00 120.00
Positions (direct):
1 Zn 0.3333 0.6667 0.0000
2 Zn 0.6667 0.3333 0.0000
3 Cd 0.0000 0.2473 0.0000
4 Cd 0.2473 0.0000 0.0000
5 Cd 0.7527 0.7527 0.0000
6 Ag 0.0000 0.6123 0.5000
7 Ag 0.3877 0.3877 0.5000
8 Ag 0.6123 0.0000 0.5000

---

# 3
# SmGd2In
Computed PXRD pattern, a wavelength of 1.5418 Å. Input: a crystal structure in Alexandria, relaxed with PBE.
Kinematic intensities with the Lorentz-polarization factor, no thermal factor.

The 6 most intense peaks (2θ from 10° to 80°), sorted by position:
- 31.3°, rel. 100.0, (1 0 2)
- 35.1°, rel. 38.7, (1 1 0)
- 50.5°, rel. 13.7, (2 0 0)
- 53.2°, rel. 19.2, (1 1 4)
- 60.7°, rel. 30.1, (2 1 2)
- 65.4°, rel. 18.2, (2 0 4)

Crystal structure
Lattice parameters (Å, degrees): 3.6123 3.6123 9.3202 90.00 90.00 90.00
Positions (direct):
1 Sm 0.0000 0.0000 0.0000
2 Gd 0.5000 0.5000 0.2742
3 Gd 0.5000 0.5000 0.7258
4 In 0.0000 0.0000 0.5000

---

# 4
# MnGePCN
Computed PXRD pattern, a wavelength of 1.5418 Å. Input: a crystal structure in Alexandria, relaxed with PBE.
Kinematic intensities with the Lorentz-polarization factor, no thermal factor.

The 6 most intense peaks (2θ from 10° to 80°), sorted by position:
- 20.3°, rel. 67.6, (1 0 0)
- 20.5°, rel. 43.3, (1 0 -1)
- 35.7°, rel. 100.0, (0 1 1)
- 37.2°, rel. 53.7, (2 0 -1)
- 45.3°, rel. 35.6, (1 1 1)
- 45.7°, rel. 29.8, (1 1 -2)

Crystal structure
Lattice parameters (Å, degrees): 4.8405 2.9200 5.4809 90.00 115.41 90.00
Positions (direct):
1 Mn 0.0000 0.0000 0.0000
2 Ge 0.8310 0.5000 0.5912
3 P 0.1966 0.5000 0.3555
4 C 0.3705 0.0000 0.9843
5 N 0.6164 0.0000 0.9854